Brief:
Could you transcribe everything underneath without altering anything?

Listing:
Density functional theory data (GGA-PBEsol) for a relaxed structure of BaBe4P.

Values from the calculation:
The value obtained for the calculated volume is 15.15 Å³ per atom. The total moment is 0.00 μB per cell. For the formation enthalpy at 0 K, the calculation gives 718.7 meV per atom.

Lattice parameters (Å, degrees): 7.1371 7.1371 7.1371 90.00 90.00 90.00
Last column: nearest neighbours and their distance in Å.
Space group F-43m (No. 216)
One atom of each set of equivalent atoms:
Ba: 0.0000 0.0000 0.0000 [4 per cell]  12 Be 2.97, 4 P 3.09
Be: 0.1181 0.1181 0.3819 [16 per cell]  6 Be 2.38-2.66
P: 0.2500 0.2500 0.7500 [4 per cell]  12 Be 2.95, 4 Ba 3.09

=====

Density functional theory data (GGA-PBEsol) for a relaxed structure of BaBeTcPb2.

Values from the calculation:
The value obtained for the calculated volume is 31.21 Å³ per atom. The total moment is 0.00 μB per cell. For the formation enthalpy at 0 K, the calculation gives 764.7 meV per atom.

Lattice parameters (Å, degrees): 5.2591 5.2591 5.6430 90.00 90.00 90.00
Last column: nearest neighbours and their distance in Å.
Space group P4/mmm (No. 123)
One atom of each set of equivalent atoms:
Ba: 0.0000 0.0000 0.0000 [1 per cell]  2 Tc 2.82
Be: 0.5000 0.5000 0.0000 [1 per cell]  4 Ba 3.72, 8 Pb 3.86
Tc: 0.0000 0.0000 0.5000 [1 per cell]  4 Pb 2.63, 2 Ba 2.82
Pb: 0.0000 0.5000 0.5000 [2 per cell]  2 Tc 2.63

* * * * *

VASP calculation (PBE) on an optimized crystal structure of Li5Ga6Co.

Calculated values
For the total magnetization, the calculation gives 0.00 μB per formula unit. The value obtained for the density of states at the Fermi level is 0.3810 states/eV/atom. The calculation puts the formation energy from the elements at -0.260 eV per atom. The value obtained for the volume is 172.5 Å³/f.u.

abc: 6.9794 6.9794 5.8973
angles: 90.00 90.00 143.10
With the nearest neighbours (Å) after each atom.
Atoms (fractional coordinates):
1 Li 0.0000 0.0000 0.0000  8 Ga 2.59-2.68
2 Li 0.3228 0.6772 0.0000  8 Ga 2.66-2.79, 4 Li 2.93-2.95
3 Li 0.3321 0.6679 0.5000  8 Ga 2.63-2.70
4 Li 0.6679 0.3321 0.5000  8 Ga 2.63-2.70
5 Li 0.6772 0.3228 0.0000  8 Ga 2.66-2.79, 4 Li 2.93-2.95
6 Ga 0.1585 0.8415 0.2586  1 Co 2.54, 7 Li 2.59-2.70
7 Ga 0.1585 0.8415 0.7414  1 Co 2.54, 7 Li 2.59-2.70
8 Ga 0.5000 0.5000 0.2566  2 Co 2.63, 6 Li 2.65-2.79, 1 Ga 2.87
9 Ga 0.5000 0.5000 0.7434  2 Co 2.63, 6 Li 2.65-2.79, 1 Ga 2.87
10 Ga 0.8415 0.1585 0.2586  1 Co 2.54, 7 Li 2.59-2.70
11 Ga 0.8415 0.1585 0.7414  1 Co 2.54, 7 Li 2.59-2.70
12 Co 0.0000 0.0000 0.5000  8 Ga 2.54-2.63

* * * * *

# 1
# Tb3PdO | Alexandria | PBE | optimized geometry
# V: 21.0 Å³/atom
# Formation energy without anion corrections: -1.375 eV per atom
# Total magnetization: 0.00 μB per cell
# Mass density: 9.456 g/cm³
data_Tb3PdO
_chemical_formula_sum 'Tb3 Pd1 O1'
_symmetry_space_group_name_H-M 'P 1'
_symmetry_Int_Tables_number 1
_symmetry_space_group_name_Hall 'P 1'
_cell_length_a 4.721
_cell_length_b 4.721
_cell_length_c 4.721
_cell_angle_alpha 90.00
_cell_angle_beta 90.00
_cell_angle_gamma 90.00
loop_
_atom_site_label
_atom_site_type_symbol
_atom_site_fract_x
_atom_site_fract_y
_atom_site_fract_z
Tb1 Tb 0.000 0.000 0.500
Tb2 Tb 0.000 0.500 0.000
Tb3 Tb 0.500 0.000 0.000
Pd1 Pd 0.500 0.500 0.500
O1 O 0.000 0.000 0.000

# 2
# TaInPb2 | Alexandria | PBE | optimized geometry
# V: 24.8 Å³/atom
# Formation energy from the elements: 54.5 kJ per mole of atoms
# Total magnetization: 0.00 μB per cell
# Mass density: 11.909 g/cm³
data_TaInPb2
_chemical_formula_sum 'Ta1 In1 Pb2'
_symmetry_space_group_name_H-M 'P 1'
_symmetry_Int_Tables_number 1
_symmetry_space_group_name_Hall 'P 1'
_cell_length_a 6.377
_cell_length_b 6.377
_cell_length_c 3.212
_cell_angle_alpha 104.50
_cell_angle_beta 104.50
_cell_angle_gamma 119.23
loop_
_atom_site_label
_atom_site_type_symbol
_atom_site_fract_x
_atom_site_fract_y
_atom_site_fract_z
Ta1 Ta 0.000 0.000 0.000
In1 In 0.500 0.500 0.000
Pb1 Pb 0.000 0.500 0.500
Pb2 Pb 0.500 0.000 0.500

# 3

Reply:
Density functional theory data (GGA-PBEsol) for a relaxed structure of BaBe4P.

Values from the calculation:
The value obtained for the calculated volume is 15.15 Å³ per atom. The total moment is 0.00 μB per cell. For the formation enthalpy at 0 K, the calculation gives 718.7 meV per atom.

Lattice parameters (Å, degrees): 7.1371 7.1371 7.1371 90.00 90.00 90.00
Last column: nearest neighbours and their distance in Å.
Space group F-43m (No. 216)
One atom of each set of equivalent atoms:
Ba: 0.0000 0.0000 0.0000 [4 per cell]  12 Be 2.97, 4 P 3.09
Be: 0.1181 0.1181 0.3819 [16 per cell]  6 Be 2.38-2.66
P: 0.2500 0.2500 0.7500 [4 per cell]  12 Be 2.95, 4 Ba 3.09

=====

Density functional theory data (GGA-PBEsol) for a relaxed structure of BaBeTcPb2.

Values from the calculation:
The value obtained for the calculated volume is 31.21 Å³ per atom. The total moment is 0.00 μB per cell. For the formation enthalpy at 0 K, the calculation gives 764.7 meV per atom.

Lattice parameters (Å, degrees): 5.2591 5.2591 5.6430 90.00 90.00 90.00
Last column: nearest neighbours and their distance in Å.
Space group P4/mmm (No. 123)
One atom of each set of equivalent atoms:
Ba: 0.0000 0.0000 0.0000 [1 per cell]  2 Tc 2.82
Be: 0.5000 0.5000 0.0000 [1 per cell]  4 Ba 3.72, 8 Pb 3.86
Tc: 0.0000 0.0000 0.5000 [1 per cell]  4 Pb 2.63, 2 Ba 2.82
Pb: 0.0000 0.5000 0.5000 [2 per cell]  2 Tc 2.63

* * * * *

VASP calculation (PBE) on an optimized crystal structure of Li5Ga6Co.

Calculated values
For the total magnetization, the calculation gives 0.00 μB per formula unit. The value obtained for the density of states at the Fermi level is 0.3810 states/eV/atom. The calculation puts the formation energy from the elements at -0.260 eV per atom. The value obtained for the volume is 172.5 Å³/f.u.

abc: 6.9794 6.9794 5.8973
angles: 90.00 90.00 143.10
With the nearest neighbours (Å) after each atom.
Atoms (fractional coordinates):
1 Li 0.0000 0.0000 0.0000  8 Ga 2.59-2.68
2 Li 0.3228 0.6772 0.0000  8 Ga 2.66-2.79, 4 Li 2.93-2.95
3 Li 0.3321 0.6679 0.5000  8 Ga 2.63-2.70
4 Li 0.6679 0.3321 0.5000  8 Ga 2.63-2.70
5 Li 0.6772 0.3228 0.0000  8 Ga 2.66-2.79, 4 Li 2.93-2.95
6 Ga 0.1585 0.8415 0.2586  1 Co 2.54, 7 Li 2.59-2.70
7 Ga 0.1585 0.8415 0.7414  1 Co 2.54, 7 Li 2.59-2.70
8 Ga 0.5000 0.5000 0.2566  2 Co 2.63, 6 Li 2.65-2.79, 1 Ga 2.87
9 Ga 0.5000 0.5000 0.7434  2 Co 2.63, 6 Li 2.65-2.79, 1 Ga 2.87
10 Ga 0.8415 0.1585 0.2586  1 Co 2.54, 7 Li 2.59-2.70
11 Ga 0.8415 0.1585 0.7414  1 Co 2.54, 7 Li 2.59-2.70
12 Co 0.0000 0.0000 0.5000  8 Ga 2.54-2.63

* * * * *

# 1
# Tb3PdO | Alexandria | PBE | optimized geometry
# V: 21.0 Å³/atom
# Formation energy without anion corrections: -1.375 eV per atom
# Total magnetization: 0.00 μB per cell
# Mass density: 9.456 g/cm³
data_Tb3PdO
_chemical_formula_sum 'Tb3 Pd1 O1'
_symmetry_space_group_name_H-M 'P 1'
_symmetry_Int_Tables_number 1
_symmetry_space_group_name_Hall 'P 1'
_cell_length_a 4.721
_cell_length_b 4.721
_cell_length_c 4.721
_cell_angle_alpha 90.00
_cell_angle_beta 90.00
_cell_angle_gamma 90.00
loop_
_atom_site_label
_atom_site_type_symbol
_atom_site_fract_x
_atom_site_fract_y
_atom_site_fract_z
Tb1 Tb 0.000 0.000 0.500
Tb2 Tb 0.000 0.500 0.000
Tb3 Tb 0.500 0.000 0.000
Pd1 Pd 0.500 0.500 0.500
O1 O 0.000 0.000 0.000

# 2
# TaInPb2 | Alexandria | PBE | optimized geometry
# V: 24.8 Å³/atom
# Formation energy from the elements: 54.5 kJ per mole of atoms
# Total magnetization: 0.00 μB per cell
# Mass density: 11.909 g/cm³
data_TaInPb2
_chemical_formula_sum 'Ta1 In1 Pb2'
_symmetry_space_group_name_H-M 'P 1'
_symmetry_Int_Tables_number 1
_symmetry_space_group_name_Hall 'P 1'
_cell_length_a 6.377
_cell_length_b 6.377
_cell_length_c 3.212
_cell_angle_alpha 104.50
_cell_angle_beta 104.50
_cell_angle_gamma 119.23
loop_
_atom_site_label
_atom_site_type_symbol
_atom_site_fract_x
_atom_site_fract_y
_atom_site_fract_z
Ta1 Ta 0.000 0.000 0.000
In1 In 0.500 0.500 0.000
Pb1 Pb 0.000 0.500 0.500
Pb2 Pb 0.500 0.000 0.500

# 3